Customer Address

Use this widget to view the saved addresses of a specific customer. You can also add new addresses for the selected customer, edit existing addresses, or delete any outdated addresses from the list. The distinction of the address types are represented by different icons depending on the purpose of the address. You can assign your address either as delivery, location, invoice, payment, quotation or order confirmation.

You can select a customer from the Customer Contacts widget in your homepage or workspace, or from Infor M3. When you select a customer, the saved addresses alongside with the address ID and name are displayed as list view in the Customer Address widget. Additionally, you can drillback to 'Customer. Connect Addresses' (OIS002) to see the customer address record in Infor M3.


  • Before using the widget, you must activate the OCUSAD table in the M3 Function Search administration. See information about updating table indexes in the M3 Core User and Administration Library (Cloud).
  • Ensure that the Customer Contacts widget is added along with the Customer Address widget from the widget catalog on your homepage or workspace. The Customer Address widget depends on the customer data that are configured in the Customer Contacts widget.
    Note: Workspace is only available in Infor OS Portal.

Infor Business Context (IBC) message

The Customer Address widget receives this Infor Business Context (IBC) message either from the Customer Contacts widget or from Infor M3: InforCustomerPartyMaster.

_Calculated crystals from another source follow_
/*
1.
Lu2Te3 | PBE | optimized geometry

The structure belongs to space group Fddd (No. 70, origin choice 2); the cell edges are 8.5997, 12.1291 and 25.6780 Å and the angles 90.00°, 90.00° and 90.00°. The inequivalent atoms are Lu at (0.1250, 0.1250, 0.0425), Lu at (0.1250, 0.1250, 0.3753), Te at (0.1230, 0.3750, 0.8750) and Te at (0.1235, 0.3746, 0.2078).

As for the formation energy from raw total energies: -6.723 eV per formula unit. Its crystal system is orthorhombic. The calculated volume comes out at 33.5 Å³ per atom. The magnetization is 0.00 μB/f.u.

***

2.
Mn2HgBi | PBE | optimized geometry

The structure belongs to space group Fm-3m (No. 225); the cell edges are 6.4634, 6.4634 and 6.4634 Å and the angles 90.00°, 90.00° and 90.00°. The inequivalent atoms are Mn at (0.2500, 0.2500, 0.2500), Hg at (0.0000, 0.0000, 0.0000) and Bi at (0.0000, 0.0000, 0.5000).

The energy above the most stable polymorph in this dataset is 6.994 kcal/mol of atoms. Its energy of formation from the pure elements is 935 meV per atom. Its crystal system is cubic. The calculated volume comes out at 16.9 Å³ per atom. The magnetization is 0.00 μB/f.u.

***

3.
MgScReMo | PBE | optimized geometry

The structure belongs to space group F-43m (No. 216); the cell edges are 6.4786, 6.4786 and 6.4786 Å and the angles 90.00°, 90.00° and 90.00°. The inequivalent atoms are Mg at (0.0000, 0.0000, 0.0000), Sc at (0.2500, 0.2500, 0.2500), Re at (0.0000, 0.0000, 0.5000) and Mo at (0.2500, 0.2500, 0.7500).

Its energy of formation from the pure elements is 41 meV per atom. Its crystal system is cubic. The calculated volume comes out at 17.0 Å³ per atom. The magnetization is 0.00 μB/f.u.

***

4.
Na3Al | PBE | optimized geometry

The structure belongs to space group Fm-3m (No. 225); the cell edges are 7.6883, 7.6883 and 7.6883 Å and the angles 90.00°, 90.00° and 90.00°. The inequivalent atoms are Na at (0.0000, 0.0000, 0.0000), Na at (0.2500, 0.2500, 0.2500) and Al at (0.0000, 0.0000, 0.5000).

Its energy of formation from the pure elements is 180 meV per atom. Its crystal system is cubic. The calculated volume comes out at 28.4 Å³ per atom. The magnetization is 0.00 μB/f.u.

=====

First-principles (PBE-GGA) data for CrFe2Os after structural relaxation, as listed in Alexandria.

The formation energy comes out at 0.068 eV per atom.

It has space group P4/mmm (No. 123), with a = 3.608 Å, b = 3.608 Å, c = 3.693 Å, α = 90.00°, β = 90.00° and γ = 90.00°. Symmetry generates all atoms from Cr at (0.000, 0.000, 0.000), Fe at (0.000, 0.500, 0.500) and Os at (0.500, 0.500, 0.000).

First-principles (PBE-GGA) data for Cr2FeOs after structural relaxation, as listed in Alexandria.

The formation energy comes out at 0.124 eV per atom. The excess energy over the best structure of this formula in the dataset comes out at 3.5 kJ per mole of atoms.
*/

APIs used in the widget

The Customer Address widget requires application program interfaces (APIs) that retrieve and display the appropriate data.

This table shows the available M3 APIs for this widget:
Program Transaction
CRS610MI LstAddresses
CRS610MI AddAddress
CRS610MI ChgAddress
CRS610MI DeleteAddress
CRS610MI GetBasicData
CRS045MI LstByCode
CRS046MI LstAreaCodes
MMS008MI LstPlaces

See information about testing and running an API and its corresponding transaction in the M3 Core User and Administration Library (Cloud).

Creating a customer address

  1. Click the menu icon (…) on the widget title bar and select Crete new address. Alternatively, click the plus icon (+) to perform the same action.
  2. Specify this information:
    Address type
    Select the applicable address type based on the purpose of the customized address.
    Address number
    Specify the customer's address number.
    Specify a customer name.
    Address line 1
    Specify a complete customer address.
    Address line 2
    Specify a complete customer address.
    Address line 3
    Specify a complete customer address.
    Address line 4
    Specify a complete customer address.
    Specify the city of the customer address.
    Postal code
    Specify the postal code according to the specified customer address.
    Select the applicable country of the customer.
    Select the applicable state based on the country value.
    Place of unload
    Select the place of unload. This field depends on the selected country.
  3. Click Save.

Deleting a customer address

  1. On your preferred customer address line, click the Delete icon.
  2. If you are prompted with message, click Delete.